### Listing
Entry 1:
Computed, not measured: a relaxed PrSiAsIr2 crystal at the GGA-PBE level of DFT.

Unit cell a=4.2925 b=4.2925 c=9.8897 alpha=90.00 beta=90.00 gamma=90.00
Closest atoms and distances in Å follow each position.
Positions (direct):
Ir 0.0000 0.5000 0.8702  1 Si 2.40, 4 As 2.50
Ir 0.5000 0.5000 0.5000  4 Si 2.49
Ir 0.5000 0.0000 0.1298  1 Si 2.40, 4 As 2.50
Ir 0.0000 0.0000 0.5000  4 Si 2.49
Si 0.0000 0.5000 0.6275  5 Ir 2.40-2.49
Si 0.5000 0.0000 0.3725  5 Ir 2.40-2.49
Pr 0.5000 0.0000 0.7540  4 As 3.24, 8 Ir 3.25-3.30, 4 Si 3.28
Pr 0.0000 0.5000 0.2460  4 As 3.24, 8 Ir 3.25-3.30, 4 Si 3.28
As 0.0000 0.0000 0.0000  4 Ir 2.50
As 0.5000 0.5000 0.0000  4 Ir 2.50

Total magnetization ... 0.01 μB per cell
Space-group type ... P4/nmm
Final energy ... -0.545 Ry/atom

Entry 2:
Computed, not measured: a relaxed Cd2Cu2SeF6 crystal at the GGA-PBE level of DFT.

Unit cell a=7.6030 b=7.6030 c=7.6030 alpha=60.00 beta=60.00 gamma=60.00
Closest atoms and distances in Å follow each position.
Positions (direct):
F 0.3054 0.6946 0.3054  2 Cu 2.04
F 0.5554 0.9446 0.9446  2 Cu 2.04
F 0.6946 0.6946 0.3054  2 Cu 2.04
F 0.9446 0.5554 0.9446  2 Cu 2.04
F 0.3054 0.3054 0.6946  2 Cu 2.04
F 0.3054 0.6946 0.6946  2 Cu 2.04
F 0.9446 0.5554 0.5554  2 Cu 2.04
F 0.9446 0.9446 0.5554  2 Cu 2.04
F 0.6946 0.3054 0.6946  2 Cu 2.04
F 0.5554 0.9446 0.5554  2 Cu 2.04
F 0.5554 0.5554 0.9446  2 Cu 2.04
F 0.6946 0.3054 0.3054  2 Cu 2.04
Se 0.0000 0.0000 0.0000  4 Cd 2.33
Se 0.2500 0.2500 0.2500  4 Cd 2.33
Cu 0.6250 0.6250 0.1250  6 F 2.04
Cu 0.6250 0.6250 0.6250  6 F 2.04
Cu 0.6250 0.1250 0.6250  6 F 2.04
Cu 0.1250 0.6250 0.6250  6 F 2.04
Cd 0.6250 0.1250 0.1250  2 Se 2.33
Cd 0.1250 0.6250 0.1250  2 Se 2.33
Cd 0.1250 0.1250 0.1250  2 Se 2.33
Cd 0.1250 0.1250 0.6250  2 Se 2.33

Space-group type ... Fd-3m
Final energy ... -0.263 Ry/atom

Entry 3:
Computed, not measured: a relaxed Sc2Nb4Cu3C3 crystal at the GGA-PBE level of DFT.

Unit cell a=5.4787 b=5.4787 c=13.9022 alpha=101.72 beta=101.72 gamma=60.07
Closest atoms and distances in Å follow each position.
Positions (direct):
Nb 0.8556 0.6943 0.5851  3 C 2.13-2.19
Nb 0.9800 0.7964 0.9149  3 C 2.13-2.20
Nb 0.1444 0.3057 0.4148  3 C 2.13-2.19
Nb 0.7964 0.9800 0.4149  3 C 2.13-2.20
Nb 0.0200 0.2036 0.0851  3 C 2.13-2.20
Nb 0.6943 0.8556 0.0851  3 C 2.13-2.19
Nb 0.3057 0.1444 0.9149  3 C 2.13-2.19
Nb 0.2036 0.0200 0.5851  3 C 2.13-2.20
Cu 0.9274 0.0726 0.2500  4 Cu 2.74-2.75, 4 Nb 2.74
Cu 0.4130 0.1015 0.2488  4 Nb 2.73, 4 Cu 2.74-2.75
Cu 0.0726 0.9274 0.7500  4 Cu 2.74-2.75, 4 Nb 2.74
Cu 0.8985 0.5870 0.2512  4 Nb 2.73, 4 Cu 2.74-2.75
Cu 0.1015 0.4130 0.7488  4 Nb 2.73, 4 Cu 2.74-2.75
Cu 0.5870 0.8985 0.7512  4 Nb 2.73, 4 Cu 2.74-2.75
C 0.5000 0.0000 0.5000  4 Nb 2.14-2.15, 2 Sc 2.39
C 0.3328 0.8345 0.0000  4 Nb 2.13-2.20, 2 Sc 2.34-2.35
C 0.8345 0.3328 0.5000  4 Nb 2.13-2.20, 2 Sc 2.34-2.35
C 0.6672 0.1655 0.0000  4 Nb 2.13-2.20, 2 Sc 2.34-2.35
C 0.1655 0.6672 0.5000  4 Nb 2.13-2.20, 2 Sc 2.34-2.35
C 0.0000 0.5000 0.0000  4 Nb 2.14-2.15, 2 Sc 2.39
Sc 0.4613 0.6217 0.3896  3 C 2.34-2.39
Sc 0.3783 0.5387 0.1104  3 C 2.34-2.39
Sc 0.6217 0.4613 0.8896  3 C 2.34-2.39
Sc 0.5387 0.3783 0.6104  3 C 2.34-2.39

Total magnetization ... 0.01 μB per cell
Space-group type ... C2/c
Final energy ... -0.587 Ry/atom

Entry 4:
Computed, not measured: a relaxed RbNaAsPd crystal at the GGA-PBE level of DFT.

Unit cell a=5.7972 b=6.1566 c=6.1566 alpha=76.27 beta=90.00 gamma=90.00
Closest atoms and distances in Å follow each position.
Positions (direct):
Pd 0.0000 0.0120 0.0120  2 As 2.45
Pd 0.5000 0.0120 0.0120  2 As 2.45
Na 0.7500 0.1766 0.4635  4 As 3.25-3.45, 3 Rb 3.40-3.61, 4 Pd 3.49-3.59, 2 Na 3.63
Na 0.2500 0.4635 0.1766  4 As 3.25-3.45, 3 Rb 3.40-3.61, 4 Pd 3.49-3.59, 2 Na 3.63
Rb 0.2500 0.8168 0.5254  4 As 3.27-3.43, 3 Na 3.40-3.61, 2 Pd 3.43, 2 Rb 3.65
Rb 0.7500 0.5254 0.8168  4 As 3.27-3.43, 3 Na 3.40-3.61, 2 Pd 3.43, 2 Rb 3.65
As 0.2500 0.2554 0.7383  2 Pd 2.45
As 0.7500 0.7383 0.2554  2 Pd 2.45

### Brief
Could you start at the top of the notes further up and give back each line, ending with the one that has "relaxed RbNaAsPd"?

### Solution
Entry 1:
Computed, not measured: a relaxed PrSiAsIr2 crystal at the GGA-PBE level of DFT.

Unit cell a=4.2925 b=4.2925 c=9.8897 alpha=90.00 beta=90.00 gamma=90.00
Closest atoms and distances in Å follow each position.
Positions (direct):
Ir 0.0000 0.5000 0.8702  1 Si 2.40, 4 As 2.50
Ir 0.5000 0.5000 0.5000  4 Si 2.49
Ir 0.5000 0.0000 0.1298  1 Si 2.40, 4 As 2.50
Ir 0.0000 0.0000 0.5000  4 Si 2.49
Si 0.0000 0.5000 0.6275  5 Ir 2.40-2.49
Si 0.5000 0.0000 0.3725  5 Ir 2.40-2.49
Pr 0.5000 0.0000 0.7540  4 As 3.24, 8 Ir 3.25-3.30, 4 Si 3.28
Pr 0.0000 0.5000 0.2460  4 As 3.24, 8 Ir 3.25-3.30, 4 Si 3.28
As 0.0000 0.0000 0.0000  4 Ir 2.50
As 0.5000 0.5000 0.0000  4 Ir 2.50

Total magnetization ... 0.01 μB per cell
Space-group type ... P4/nmm
Final energy ... -0.545 Ry/atom

Entry 2:
Computed, not measured: a relaxed Cd2Cu2SeF6 crystal at the GGA-PBE level of DFT.

Unit cell a=7.6030 b=7.6030 c=7.6030 alpha=60.00 beta=60.00 gamma=60.00
Closest atoms and distances in Å follow each position.
Positions (direct):
F 0.3054 0.6946 0.3054  2 Cu 2.04
F 0.5554 0.9446 0.9446  2 Cu 2.04
F 0.6946 0.6946 0.3054  2 Cu 2.04
F 0.9446 0.5554 0.9446  2 Cu 2.04
F 0.3054 0.3054 0.6946  2 Cu 2.04
F 0.3054 0.6946 0.6946  2 Cu 2.04
F 0.9446 0.5554 0.5554  2 Cu 2.04
F 0.9446 0.9446 0.5554  2 Cu 2.04
F 0.6946 0.3054 0.6946  2 Cu 2.04
F 0.5554 0.9446 0.5554  2 Cu 2.04
F 0.5554 0.5554 0.9446  2 Cu 2.04
F 0.6946 0.3054 0.3054  2 Cu 2.04
Se 0.0000 0.0000 0.0000  4 Cd 2.33
Se 0.2500 0.2500 0.2500  4 Cd 2.33
Cu 0.6250 0.6250 0.1250  6 F 2.04
Cu 0.6250 0.6250 0.6250  6 F 2.04
Cu 0.6250 0.1250 0.6250  6 F 2.04
Cu 0.1250 0.6250 0.6250  6 F 2.04
Cd 0.6250 0.1250 0.1250  2 Se 2.33
Cd 0.1250 0.6250 0.1250  2 Se 2.33
Cd 0.1250 0.1250 0.1250  2 Se 2.33
Cd 0.1250 0.1250 0.6250  2 Se 2.33

Space-group type ... Fd-3m
Final energy ... -0.263 Ry/atom

Entry 3:
Computed, not measured: a relaxed Sc2Nb4Cu3C3 crystal at the GGA-PBE level of DFT.

Unit cell a=5.4787 b=5.4787 c=13.9022 alpha=101.72 beta=101.72 gamma=60.07
Closest atoms and distances in Å follow each position.
Positions (direct):
Nb 0.8556 0.6943 0.5851  3 C 2.13-2.19
Nb 0.9800 0.7964 0.9149  3 C 2.13-2.20
Nb 0.1444 0.3057 0.4148  3 C 2.13-2.19
Nb 0.7964 0.9800 0.4149  3 C 2.13-2.20
Nb 0.0200 0.2036 0.0851  3 C 2.13-2.20
Nb 0.6943 0.8556 0.0851  3 C 2.13-2.19
Nb 0.3057 0.1444 0.9149  3 C 2.13-2.19
Nb 0.2036 0.0200 0.5851  3 C 2.13-2.20
Cu 0.9274 0.0726 0.2500  4 Cu 2.74-2.75, 4 Nb 2.74
Cu 0.4130 0.1015 0.2488  4 Nb 2.73, 4 Cu 2.74-2.75
Cu 0.0726 0.9274 0.7500  4 Cu 2.74-2.75, 4 Nb 2.74
Cu 0.8985 0.5870 0.2512  4 Nb 2.73, 4 Cu 2.74-2.75
Cu 0.1015 0.4130 0.7488  4 Nb 2.73, 4 Cu 2.74-2.75
Cu 0.5870 0.8985 0.7512  4 Nb 2.73, 4 Cu 2.74-2.75
C 0.5000 0.0000 0.5000  4 Nb 2.14-2.15, 2 Sc 2.39
C 0.3328 0.8345 0.0000  4 Nb 2.13-2.20, 2 Sc 2.34-2.35
C 0.8345 0.3328 0.5000  4 Nb 2.13-2.20, 2 Sc 2.34-2.35
C 0.6672 0.1655 0.0000  4 Nb 2.13-2.20, 2 Sc 2.34-2.35
C 0.1655 0.6672 0.5000  4 Nb 2.13-2.20, 2 Sc 2.34-2.35
C 0.0000 0.5000 0.0000  4 Nb 2.14-2.15, 2 Sc 2.39
Sc 0.4613 0.6217 0.3896  3 C 2.34-2.39
Sc 0.3783 0.5387 0.1104  3 C 2.34-2.39
Sc 0.6217 0.4613 0.8896  3 C 2.34-2.39
Sc 0.5387 0.3783 0.6104  3 C 2.34-2.39

Total magnetization ... 0.01 μB per cell
Space-group type ... C2/c
Final energy ... -0.587 Ry/atom

Entry 4:
Computed, not measured: a relaxed RbNaAsPd crystal at the GGA-PBE level of DFT.